Panzer Tiger - 1. chassis

Several months ago I have found on my "homestock" pair of metal tuning treads for Heng Long Panzer Tiger. Had no idea what to do with that I put it back. Later I saw on E-bay used chassis which fits with the tracks together. Only motors were missing. After I bought them (tuning version) I put it all together and tried to run it. First thing I realised that to control such hungry motors using electronic regulators is just an expensive experiment. I have vaporized pair of L298s. So I decided to do it in old-fashioned way using 4 relays.

Second challenge was how to avoid "collateral damages" linked to uncontrolled movement of such heavy mechanism. This is critical especially in household with 2 kids, 2 cats and 1 wife. I used 8 IR sensors for close proximity obstacles. Four of them are in corners looking horizontaly. Other four look down to see deeper problems like staircase. Also the second fours are used for fast switch-off. When you take the tank from floor and all of them are activated it switches everything off. I play with logic of reactions based on sensor status. They are connected to all 8 pis of portD so it gives always some binary figure which is easy to analyze.

[Next to the entry, the page also holds calculated molecules]
<<<
DFT (ωB97M-V/def2-TZVPD) results for the molecule C3H6ClNS in a non-equilibrium geometry.

Properties
SMILES string: CNC(=S)CCl
LUMO: 0.71 eV
Gap between HOMO and LUMO: 9.112 eV

The geometry in ORCA input format:
```
! wB97M-V def2-TZVPD RIJCOSX def2/J DEFGRID3
* xyz 0 1
C 1.267 1.439 -0.093
N 0.098 0.564 -0.035
C 0.073 -0.750 -0.045
S 1.461 -1.697 -0.193
C -1.303 -1.459 0.157
Cl -2.651 -0.330 -0.214
H 1.113 2.211 -0.856
H 1.337 2.149 0.809
H 2.181 0.881 -0.175
H -0.806 0.987 -0.024
H -1.387 -2.257 -0.586
H -1.382 -1.737 1.255
*
```

=====

DFT (ωB97M-V/def2-TZVPD) results for a structure of composition C20H17N3PdS3Sb.

Properties
LUMO: 2.36 eV
Gap between HOMO and LUMO: 6.218 eV

The geometry in ORCA input format:
```
! wB97M-V def2-TZVPD RIJCOSX def2/J DEFGRID3
* xyz -1 1
Pd 0.529 -0.620 -0.794
S -0.141 3.837 -0.905
C 0.947 3.357 -2.128
C 1.170 2.011 -2.092
C 0.441 1.334 -1.066
C -0.320 2.211 -0.343
C -1.233 1.914 0.782
C -2.312 2.748 1.087
C -3.156 2.398 2.123
C -2.916 1.227 2.828
C -1.813 0.472 2.465
N -0.982 0.804 1.481
H 1.366 4.082 -2.808
H 1.811 1.499 -2.796
H -2.502 3.637 0.500
H -4.005 3.026 2.365
H -3.562 0.901 3.632
H -1.581 -0.450 2.989
S -1.301 -1.166 -2.105
C -1.165 -2.315 -0.802
C -2.189 -2.419 0.158
C -2.007 -3.072 1.360
C -3.084 -3.114 2.314
N -3.953 -3.117 3.069
C -0.739 -3.615 1.657
C 0.275 -3.533 0.733
C 0.116 -2.941 -0.555
S 1.429 -3.017 -1.699
C -0.475 -4.232 2.932
N -0.244 -4.710 3.953
H -3.133 -1.933 -0.046
H 1.239 -3.963 0.969
C 4.286 0.000 -0.501
Sb 2.555 -0.275 0.696
C 2.753 1.424 1.953
C 3.305 -1.782 1.981
H 5.128 0.349 0.095
H 4.059 0.721 -1.284
H 4.517 -0.959 -0.963
H 3.801 1.556 2.221
H 2.154 1.296 2.853
H 2.388 2.297 1.412
H 4.250 -1.450 2.411
H 3.462 -2.675 1.377
H 2.594 -2.004 2.775
*
```

=====

DFT (ωB97M-V/def2-TZVPD) results for a structure of composition C7H14NO2P in a non-equilibrium geometry.

Properties
LUMO: 0.53 eV
Gap between HOMO and LUMO: 5.738 eV

The geometry in ORCA input format:
```
! wB97M-V def2-TZVPD RIJCOSX def2/J DEFGRID3
* xyz 0 1
O -0.314 0.900 2.452
O 1.983 -0.230 1.864
N -0.104 -0.334 -0.197
P 0.519 0.076 1.364
C 0.579 0.991 3.573
C 1.994 0.545 3.071
C 0.859 -0.552 -1.267
C -1.340 0.376 -0.488
C 0.135 -1.219 -2.451
C -2.037 -0.255 -1.671
C -1.052 -0.359 -2.852
H 0.209 0.309 4.366
H 0.624 2.009 4.007
H 2.546 -0.014 3.888
H 2.565 1.427 2.867
H 1.303 0.376 -1.560
H 1.732 -1.127 -0.911
H -2.027 0.296 0.368
H -1.193 1.454 -0.727
H -0.221 -2.209 -2.180
H 0.807 -1.375 -3.283
H -2.378 -1.264 -1.416
H -2.920 0.358 -1.940
H -1.550 -0.826 -3.696
H -0.720 0.647 -3.180
*
```

=====

DFT (ωB97M-V/def2-TZVPD) results for a cluster of 5 separate species, C23H60N4O8 in total in a non-equilibrium geometry.

Properties
LUMO (alpha / beta): -2.52 / -7.69 eV
Gap between HOMO and LUMO (alpha / beta): 7.366 / 2.198 eV

The geometry in ORCA input format:
```
! wB97M-V def2-TZVPD RIJCOSX def2/J DEFGRID3
* xyz 1 2
C -0.444 2.587 2.633
O 0.336 3.701 3.055
C 0.404 4.158 4.404
C 1.642 5.100 4.412
>>>
[The entry goes on]

Sharp IR sensor is there to evaluate if the front obstacle is really so serious. E.g. if the hole is too deep or too wide. For this purpose it is looking 30° down.

In picture below you can see power controll. Main source is one Lipo battery which supplies motor directly. For headlights and future servos there is 6V branch. For electronics there is 5.5V branch. Also there is Ampmeter to see how hungry the robot is.


Currently I attached some other sensors - GPS, inclinometer (to measure the slope), compass and odometer. All are attached and continuously read but the data are not used for any purposes yet. So the robot know where it is but does not bother. This is space for further development.


Program structure was another question. To keep it easy for extension i split the logic of program into 3 levels.

1st level - instincts.

This senses movements and surrounding in order to avoid damages. This cannot be overriden by other commands. Routines controll motors based on othe commands but have VETO rights. Basics are fully operational.

2nd level - commands

Reads TV remote or instructions from higher levels of program. These routines controlls the movement, direction and distance of the ride. TV remote controll is fully operational now.

3rd level - mission

Overall controll of machine. Sets poins of where to go and what to do. Orders are executed by level 2 and controlled by level 1.

On this level I am working now.


As you see this robot is not ready to accomplish any other task now. I am working on second part -  the turret.

All sensors are fully functional. It can find target via laserfinder (measurig reflection), check its colour (color sensor 256 bit RGB) and measure its distance.

Turret is idependent in its job having dedicated Picaxe 28x1. Measurements are visible on display and sent to main 40x2 via serial based on request.

Now it requires just to put it together. Turret is mounted on servo below blue plate.

Below are links to videos of first movements of chassis.

When the tank approaches obstacle right in front it stops. This is temporary solution. I need to think about what the reaction should be. So, even it is not clearly visible from videos, it is not stopping because the obstacle is too strong but due to program setting. Also when it approaches the wall it does not bum it but stops 1 cm before.



To be continued...



Completes missions, follow IR commands, "search & destroy", avoids traps

  • Actuators / output devices: 2x DC geared
  • Control method: program, TV remote, independent
  • CPU: Picaxe 40X2
  • Power source: LiPo 7, 2V 5000 mAh
  • Sensors / input devices: GPS, compass, odometer, 8x IR detector, 1x IR Sharp, inclinometer, TV IR
  • Target environment: grass (no mud), outdoor, Sand, stone

This is a companion discussion topic for the original entry at

interesting work, I will ask

interesting work, I will ask some detail later

I just saw this for sale…

I just saw this same base platform for sale at the mall (the RC Tiger tank).  Hopefully my wife caught one or two of the hints I was throwing her way.

Okay, so you have an awesome chassis, but what purpose do you want to accomplish with this bot?

Right question!It seems that

Right question!

It seems that I put tugether all existing sensors on all-terrain chassis … … not knowing what to do with it.

You are partly right. I already built some tracked robots with clear tasks assigned. But this is my first outdoor robot.

So first I want to verify what terrain it is able to pass throught. Second question is ability of sensors to detect objects in day/night conditions in open space without walls.

For example the wireless camera is there to understand at what perspective and angles robot sees the objects.

RGB long distance (max 3 m) sensor should help to see other colours in the grass. Also laserfinder uses green 50mW laser to be absorbed by green grass and reflected by light objects.

I will keep you informed.